No. 12
![Rev 19 12](/Images/content/495/789532.jpg) |
No. 12 [1]
Revelation 19:16
And he hath on his vesture and on his thigh a name written,
The sublime passage, we have been for some time considering, closes with this verse, which expresses a declaration of his sovereign, universal dominion and government. This title had been vainly usurped by some of the proud worms of the earth. It was frequent with the Eastern Monarchs to style themselves Kings of kings and Lord of Lords. It is both a striking proof, and presumptuous effect of the pride of mankind, that they cannot invent titles of honour to satisfy themselves, without invading the divine prerogative. The Great have parcelled out amongst themselves the epithets of Sovereignty, Majesty, Grace and Holiness, which properly belong to God alone. But Jesus will let the Mighty know, that in the thing wherein they speak proudly, he is above them, and that he alone is King of Kings and Lord of Lords.
Two points: |
1. |
Where he wears this title |
It is written or inscribed, upon his vesture dipped in blood and upon his thigh. Either upon that part of his vesture which covers his thigh, or upon the upper part of his vesture, and upon his thigh likewise. We may understand it of both: |
1.1 |
[It is written upon his vesture] |
This name written upon his vesture, denotes the manifestation of his glorious authority. It is written upon his outward garment to be read, known, acknowledged and confessed by all beholders, and it is upon his bloody garment stained with the blood of his enemies, intimating that his government is founded upon his great undertaking. In consequence of his obedience unto death, he has received and possesses this name which is above every name (Philippians 2:9 [2]). That name which none knows but himself intimates his eternal power and Godhead. His name, the Word of God, denotes the mystery of his divine personality – the name in my text imports his glory as the Mediator between God and man, in our nature, which when he resumed from the grave, became the seat of all power and authority in heaven and earth which we [are] taught now to consider not only as the power of God, to whom it essentially and inseparably belongs, but as the power of God exercised in and by the man who died for our sins upon the Cross. This inscription is now seen and rejoiced in by his own people, and ere long every eye shall see it, and every heart must either bow or break before him. |
1.2 |
It is written upon his thigh |
The thigh was the emblem of power, and the part whereon the sword was girded (as Psalm 45:3[3] ), teaching us that the right which he has acquired he will maintain and employ. As he has a just claim to the title he will act accordingly. Many titles amongst men are mere empty sounds. So our king bears the title of King of France, though he has no possession or authority there. But this name of Jesus is full of life, truth and influence. He is King of kings etc. because he actually rules and reigns over them and does according to his pleasure in the armies of heaven and among the inhabitants of the earth with an absolute and uncontrollable sway, so that none can stay his hand, or say unto him, What dost thou? Therefore: |
2. |
The title itself |
King of kings and Lord of Lords, the Prince of the kings of the earth. Though many of them imagine a vain thing, set themselves against him and say, Let us break his bonds asunder, he that sitteth in the heavens laugheth them to scorn. [4] He has his hook in their nose and bridle in their lips, and the result of all their contrivances is only the bringing to pass what he has determined should be done. |
2.1 |
Their rage and resistance, cannot weaken this truth, but rather makes it more evident. If it be asked, Why does he permit them to rage? we may answer from the case of Pharaoh. He risked and he perished. The power of God was more displayed by his overthrow than it could have been if he had not been suffered to oppose his will at all. |
+++
No. 1
SrLiF: computed powder XRD pattern (Cu Kα (λ = 1.5418 Å)), based on a DFT-relaxed cell (PBE, Alexandria).
Lines closer than 0.1° are merged.

Crystal structure
Cell lengths 3.9695, 3.9695, 18.6944 Å; angles 90.00, 90.00, 90.00 degrees
Space group I4/mmm (No. 139)
Symmetry-distinct sites (fractional):
Sr1 0.0000 0.0000 0.0866 x4
Li1 0.0000 0.0000 0.2743 x4
F1 0.0000 0.5000 0.0000 x4

Main lines, by intensity (2θ from 10° to 90°):
Position (°2θ)  d [Å]  I_rel
22.9  3.883  100
32.9  2.722  50
43.4  2.085  39
37.4  2.406  22
51.7  1.767  22
31.9  2.807  21
57.5  1.604  20
45.7  1.985  18



No. 2
SrLi2ZnF7: computed powder XRD pattern (Cu Kα (λ = 1.5418 Å)), based on a DFT-relaxed cell (PBE, Alexandria).
Lines closer than 0.1° are merged.

Crystal structure
Cell lengths 4.0141, 4.0141, 16.2906 Å; angles 90.00, 90.00, 90.00 degrees
Space group I-4m2 (No. 119)
Symmetry-distinct sites (fractional):
Sr1 0.0000 0.0000 0.0000 x2
Li1 0.0000 0.0000 0.3805 x4
Zn1 0.0000 0.5000 0.2500 x2
F1 0.0000 0.0000 0.2604 x4
F2 0.0000 0.0000 0.5000 x2
F3 0.0000 0.5000 0.1242 x4
F4 0.0000 0.5000 0.5929 x4

Main lines, by intensity (2θ from 10° to 90°):
Position (°2θ)  d [Å]  I_rel
22.8  3.898  100
27.6  3.228  91
45.2  2.007  78
33.4  2.680  63
21.8  4.073  58
46.3  1.962  51
38.7  2.329  45
65.3  1.429  33



No. 3
LiTbF2: computed powder XRD pattern (Cu Kα (λ = 1.5418 Å)), based on a DFT-relaxed cell (PBE, Alexandria).
Lines closer than 0.1° are merged.

Crystal structure
Cell lengths 6.6897, 6.6897, 12.7410 Å; angles 90.00, 90.00, 90.00 degrees
Space group I4_1/amd (No. 141, origin choice 2)
Symmetry-distinct sites (fractional):
Li1 0.0000 0.0000 0.0000 x8
Tb1 0.0000 0.0000 0.5000 x8
F1 0.0000 0.0288 0.3143 x16

Main lines, by intensity (2θ from 10° to 90°):
Position (°2θ)  d [Å]  I_rel
15.0  5.923  100
30.2  2.961  44
30.7  2.913  30
38.0  2.365  26
50.9  1.793  20
28.0  3.185  19
47.9  1.899  18
24.8  3.585  13



No. 4
LiTcF: computed powder XRD pattern (Cu Kα (λ = 1.5418 Å)), based on a DFT-relaxed cell (PBE, Alexandria).
Lines closer than 0.1° are merged.

Crystal structure
Cell lengths 4.8432, 2.7969, 10.1932 Å; angles 90.00, 90.08, 90.00 degrees
Space group Cm (No. 8)
Symmetry-distinct sites (fractional):
Li1 0.0000 0.0000 0.0000 x2
Li2 0.0017 0.0000 0.7553 x2
Tc1 0.1689 0.5000 0.5027 x2
Tc2 0.3349 0.0000 0.3071 x2
F1 0.1684 0.5000 0.8546 x2
F2 0.3339 0.0000 0.0916 x2

Main lines, by intensity (2θ from 10° to 90°):
Position (°2θ)  d [Å]  I_rel
38.2  2.356  100
46.0  1.972  91
41.3  2.187  86
52.1  1.756  34
37.1  2.422  32
17.4  5.097  30
35.2  2.548  26
66.9  1.398  26



No. 5
LiTcF: computed powder XRD pattern (Cu Kα (λ = 1.5418 Å)), based on a DFT-relaxed cell (PBE, Alexandria).
Lines closer than 0.1° are merged.

Crystal structure
Cell lengths 2.8015, 2.8015, 30.3416 Å; angles 90.00, 90.00, 120.00 degrees
Space group R3m (No. 160, hexagonal axes)
Symmetry-distinct sites (fractional):
Li1 0.0000 0.0000 0.0000 x3
Li2 0.0000 0.0000 0.4130 x3
+++
2.2 |
The kings of the earth are continually disturbing the world with their schemes of ambition, and think to carry all before them, and that they are only pleasing themselves. But in all they do they are but servants of this King and Lord, inflicting punishment upon his enemies, or opening a way for the spread of his Gospel. Thus under the Old Testament (for he was King from everlasting, though he had not then actually taken our nature), the march and success of Sennacherib and Nebuchadnezzar and the exaltation of Cyrus, was wholly owing to their being employed by him. They had one thing in view, he had another, and when his end was answered, we hear of them no more. If my congregation were acquainted much with history, I could remind them of many like instances in later times. In that glorious work of the reformation from popery, particularly in our own land, many of the chief movers, who contributed to establish it, hated it in their hearts. But their ambition and appetites and passions engaged them to take such courses as the King of kings made effectual to accomplish it. |
2.3 |
Again, that he rules in the midst and over his enemies, is plain from the preservation of his friends and people. For the world is against them, and they have no Protector but him. The wrath of man, like the waves of the sea, has bounds set to it beyond which it cannot pass. Sometimes the enemies divide and quarrel amongst themselves, and then one party out of opposition will protect those whom otherwise they wish to destroy. So Paul escaped from the Council, by the disagreement of the Pharisees and Sadducees. Sometimes he speaks to the heart of an enemy and makes him a friend, as he did to Paul himself. Sometimes he cuts down his enemies with a stroke (as he did Herod) and then all their thoughts perish. Thus his church, though assaulted by the gates of hell and the malice of the wicked, cannot be overcome, for it is founded upon the rock of his truth, and defended by the arm of his power. |
Inferences: |
![Rev 19 12 providence](/Images/content/495/789531.jpg)
1. |
Admire and trust his providence. Fear not for his church and interest – it is in safe hands. Fear not for yourself – if you believe in him, he has all your enemies in a chain. |
2. |
Admire his condescension. While he supports, upholds and governs all things, he is attentive to all the cares, wants and feelings of the weakest of his people. |
3. |
Look forward with joy to the full display of his glory. O what a family, what a triumph! How will his wisdom shine! |
~~~
Starting from a structure optimized by DFT (GGA-PBE), the powder XRD pattern of Cd2MoCl8 was calculated for copper Kα.
Neutral-atom scattering factors, no anomalous dispersion.

```
data_Cd2MoCl8
_space_group_name_H-M_alt 'I -4 2 m'
_space_group_IT_number 121
_space_group_name_Hall 'I -4 2'
_cell_length_a 6.020
_cell_length_b 6.020
_cell_length_c 17.328
_cell_angle_alpha 90.00
_cell_angle_beta 90.00
_cell_angle_gamma 90.00
loop_
_atom_site_label
_atom_site_fract_x
_atom_site_fract_y
_atom_site_fract_z
Cd1 0.000 0.000 0.240
Mo1 0.000 0.000 0.000
Cl1 0.226 0.226 0.067
Cl2 0.238 0.238 0.326
```

Main lines, sorted by position (2θ from 10° to 90°):
two_theta	I_rel
15.6	42
20.5	22
20.9	72
29.4	100
36.3	46
42.5	48
52.0	30
52.5	34


Theoretical powder diffractogram
Compound: TlCoC4O4
Radiation: λ = 1.5418 Å (Cu Kα)
Structure: the PBE+U geometry in OQMD
Peak positions follow from Bragg's law for the DFT cell and can differ from measured ones.

The 10 most intense peaks (15° ≤ 2θ ≤ 90°), low angle first:
two_theta, d_spacing, I_rel, (hkl)
17.5, 5.059, 34, 1 1 1
20.3, 4.381, 70, 2 0 0
22.7, 3.919, 23, 2 1 0
24.9, 3.577, 34, 2 1 1
28.8, 3.098, 45, 2 2 0
30.6, 2.921, 40, 2 2 1
32.3, 2.771, 100, 3 0 1
38.4, 2.342, 94, 3 1 2
53.3, 1.718, 63, 5 0 1
57.6, 1.600, 30, 5 2 1

Structural model:
```
data_TlCoC4O4
_chemical_formula_sum 'Tl4 Co4 C16 O16'
_symmetry_space_group_name_H-M 'P 21 3'
_symmetry_Int_Tables_number 198
_symmetry_space_group_name_Hall 'P 2ac 2ab 3'
_cell_length_a 8.7624
_cell_length_b 8.7624
_cell_length_c 8.7624
_cell_angle_alpha 90.00
_cell_angle_beta 90.00
_cell_angle_gamma 90.00
loop_
_atom_site_label
_atom_site_type_symbol
_atom_site_fract_x
_atom_site_fract_y
_atom_site_fract_z
Tl1 Tl 0.1870 0.3130 0.6870
Co1 Co 0.1972 0.6972 0.8028
C1 C 0.0822 0.5822 0.9178
C2 C 0.1096 0.3507 0.3114
O1 O 0.0049 0.5049 0.9951
O2 O 0.0209 0.8776 0.1833
```
~~~
4. |
Bow before him, or else when he maketh up his jewels, he will dash you in pieces. [5] |
[1] |
Newton began the week by making ‘a beginning of an intended plan of writing some letters with a view to conciliatory peace amongst contending professors. But believe the beginning must be begun again. My views and thoughts seemed quite contracted, and what I wrote forced and stiff. I think the attempt might be seasonable, and that it[in] some respects it may come with propriety from me. My Lord, if it be thy pleasure to do then furnish me with light and thoughts.’ (These 4 letters were eventually completed and published in 1784 as Apologia. See also No. 6, Endnote 1.) His diary for Sunday 23 November 1777, the day of this sermon, the last in the series, on Revelation 19:16, ‘I have to praise thee my gracious Lord for thy assistance through another Sabbath, and for some liberty in preaching. In the evening preached at Weston [Underwood] for Mr [Thomas] Scott who is confined, and had a good congregation. News of the death of Mr Wilberforce [the future MP’s uncle], and that he died in peace. Thou didst break his bands, and smile upon his last hours. His late distress was a striking instance of thy truth Luke 12:15. Immediately upon a large accession to his fortune, he lost all relish for temporal comforts, sunk into a dreadful dejection of spirits, and was a burden to himself and to all around him. But now he is happy. Wrote to her [Hannah Wilberforce] on the occasion.’
There was no hymn for this day, as he was preaching away. This sermon on Revelation 19:16 formed the basis for his 38th sermon in Messiah, 1786, his 2 volumes of 50 sermons expounding the texts of Handel’s Oratorio. |
[2] |
Philippians 2:9 Wherefore God also hath highly exalted him, and given him a name which is above every name: |
[3] |
Psalm 45:3 Gird thy sword upon thy thigh, O most mighty, with thy glory and thy majesty. |
[4] |
Psalm 2:4 He that sitteth in the heavens shall laugh: the Lord shall have them in derision. |
[5] |
Malachi 3:17 And they shall be mine, saith the Lord of hosts, in that day when I make up my jewels; and I will spare them, as a man spareth his own son that serveth him. and Psalm 2:9 Thou shalt break them with a rod of iron; thou shalt dash them in pieces like a potter's vessel. |
Cowper & Newton Museum, Olney |
Marylynn Rouse, 09/08/2016